Contents:
/*
Record 1
VASP calculation (meta-GGA r2SCAN) on an optimized crystal structure of Sm2TlZn.

Values from the calculation:
Energy of formation from the pure elements ... -415 meV per atom
Final energy ... -30.804 eV per atom
Total magnetic moment ... 0.00 μB/atom

Unit cell a=7.503 b=7.503 c=7.503 alpha=90.00 beta=90.00 gamma=90.00
Space group Fm-3m (No. 225)
Unique sites:
1 Sm 0.250 0.250 0.250 (multiplicity 8)
2 Tl 0.000 0.000 0.000 (multiplicity 4)
3 Zn 0.000 0.000 0.500 (multiplicity 4)


Record 2
VASP calculation (meta-GGA r2SCAN) on an optimized crystal structure of Ba5V3HO13.

Values from the calculation:
Energy of formation from the pure elements ... -2956 meV per atom
Final energy ... -14.587 eV per atom
Total magnetic moment ... 0.00 μB/atom

Unit cell a=10.5382 b=10.5382 c=7.9119 alpha=90.00 beta=90.00 gamma=120.00
Space group P6_3 (No. 173)
Unique sites:
1 Ba 0.0164 0.2608 0.0000 (multiplicity 6)
2 Ba 0.3333 0.6667 0.2491 (multiplicity 2)
3 Ba 0.3333 0.6667 0.7510 (multiplicity 2)
4 V 0.0357 0.4018 0.4989 (multiplicity 6)
5 H 0.0000 0.0000 0.3222 (multiplicity 2)
6 O 0.0000 0.0000 0.4446 (multiplicity 2)
7 O 0.0915 0.3440 0.6721 (multiplicity 6)
8 O 0.0963 0.3518 0.3238 (multiplicity 6)
9 O 0.1269 0.5906 0.5021 (multiplicity 6)
10 O 0.1524 0.6716 0.9975 (multiplicity 6)


Record 3
VASP calculation (meta-GGA r2SCAN) on an optimized crystal structure of NpSi2Pd2.

Values from the calculation:
Energy of formation from the pure elements ... -808 meV per atom
Final energy ... -30.106 eV per atom
Total magnetic moment ... 0.79 μB/atom

Unit cell a=4.110 b=4.110 c=10.230 alpha=90.00 beta=90.00 gamma=90.00
Space group I4/mmm (No. 139)
Unique sites:
1 Np 0.000 0.000 0.000 (multiplicity 2)
2 Si 0.000 0.000 0.385 (multiplicity 4)
3 Pd 0.000 0.500 0.250 (multiplicity 4)


Record 4
VASP calculation (meta-GGA r2SCAN) on an optimized crystal structure of BaCrO4.

Values from the calculation:
Energy of formation from the pure elements ... -2541 meV per atom
Final energy ... -13.452 eV per atom
Total magnetic moment ... 0.00 μB/atom

Unit cell a=9.153 b=5.537 c=7.364 alpha=90.00 beta=90.00 gamma=90.00
Space group Pnma (No. 62)
Unique sites:
1 Ba 0.184 0.250 0.155 (multiplicity 4)
2 Cr 0.057 0.250 0.694 (multiplicity 4)
3 O 0.082 0.008 0.823 (multiplicity 8)
4 O 0.110 0.750 0.383 (multiplicity 4)
5 O 0.180 0.250 0.532 (multiplicity 4)


Record 5
VASP calculation (meta-GGA r2SCAN) on an optimized crystal structure of BaNd2Se4.

Values from the calculation:
Energy of formation from the pure elements ... -2217 meV per atom
Final energy ... -22.586 eV per atom
Total magnetic moment ... 0.00 μB/atom

Unit cell a=9.228 b=9.228 c=9.197 alpha=90.00 beta=90.00 gamma=90.00
Space group I-42d (No. 122)
Unique sites:
1 Ba 0.000 0.000 0.000 (multiplicity 4)
2 Nd 0.121 0.750 0.625 (multiplicity 8)
3 Se 0.077 0.669 0.936 (multiplicity 16)


Record 6
VASP calculation (meta-GGA r2SCAN) on an optimized crystal structure of NdPt.

Values from the calculation:
Energy of formation from the pure elements ... -1265 meV per atom
Final energy ... -41.718 eV per atom
Total magnetic moment ... 0.00 μB/atom

Unit cell a=7.343 b=4.599 c=5.704 alpha=90.00 beta=90.00 gamma=90.00
Space group Pnma (No. 62)
Unique sites:
1 Nd 0.183 0.250 0.138 (multiplicity 4)
2 Pt 0.044 0.250 0.653 (multiplicity 4)


Record 7
VASP calculation (meta-GGA r2SCAN) on an optimized crystal structure of Cu2PdAu.

Values from the calculation:
Energy of formation from the pure elements ... -124 meV per atom
Final energy ... -23.933 eV per atom
Total magnetic moment ... 0.00 μB/atom

Unit cell a=6.048 b=6.048 c=6.048 alpha=90.00 beta=90.00 gamma=90.00
Space group Fm-3m (No. 225)
Unique sites:
1 Cu 0.250 0.250 0.250 (multiplicity 8)
2 Pd 0.000 0.000 0.000 (multiplicity 4)
3 Au 0.000 0.000 0.500 (multiplicity 4)


Record 8
VASP calculation (meta-GGA r2SCAN) on an optimized crystal structure of LaZnNi.

Values from the calculation:
Energy of formation from the pure elements ... -355 meV per atom
*/

Job:
Duplicate every line above that contains the word "Zn", please.

Response:
3 Zn 0.000 0.000 0.500 (multiplicity 4)